'''
1.
A geometry-optimized Bi4B3O12 structure, computed with PBE. Values from VASP.

Summary:
ΔE_f in eV/atom: -1.97
SG: I-43d, No. 220
Calculated volume in Å³ per atom: 12.4
Polymorph energy (0 for the lowest one) in meV/atom: 0

```
&SYSTEM
  ibrav = 0, nat = 38, ntyp = 3
/
ATOMIC_SPECIES
Bi 208.98 Bi.upf
B 10.81 B.upf
O 16.00 O.upf
ATOMIC_POSITIONS angstrom
Bi -0.7281 5.6271 4.1709
Bi 1.7214 3.1776 6.6204
Bi 0.7281 0.7281 0.7281
Bi 5.6271 4.1709 -0.7281
Bi -0.7281 4.1709 0.7281
Bi 1.7214 6.6204 -1.7214
Bi 3.1776 3.1776 3.1776
Bi 3.1776 6.6204 1.7214
B 7.3485 1.2247 0.0000
B 3.6742 0.0000 2.4495
B 2.4495 3.6742 0.0000
B 0.0000 2.4495 3.6742
B 1.2247 0.0000 7.3485
B 0.0000 7.3485 1.2247
O 5.4043 3.5906 -2.8773
O 4.4711 -1.1411 1.9442
O 6.2074 2.0216 -0.5053
O 6.8432 0.4278 1.1411
O 2.8773 0.5053 1.3084
O 3.5906 2.8773 -0.5053
O 3.5906 -2.8773 5.4043
O 2.8773 -0.5053 3.5906
O 1.9442 4.4711 -1.1411
O 1.3084 2.8773 0.5053
O 4.4711 1.1411 2.9548
O 0.5053 1.3084 2.8773
O 2.9548 4.4711 1.1411
O 2.0216 -0.5053 6.2074
O -1.1411 1.9442 4.4711
O -0.5053 3.5906 2.8773
O 5.3268 3.7579 2.9548
O 1.1411 6.8432 0.4278
O 1.1411 2.9548 4.4711
O 0.4278 1.1411 6.8432
O -0.5053 6.2074 2.0216
O 3.7579 2.9548 5.3268
O -2.8773 5.4043 3.5906
O 2.9548 5.3268 3.7579
CELL_PARAMETERS angstrom
-4.8990 4.8990 4.8990
4.8990 -4.8990 4.8990
4.8990 4.8990 -4.8990
```

---

2.
A geometry-optimized Na2Sr2Al2PO4F9 structure, computed with PBE. Values from VASP.

Summary:
ΔE_f in eV/atom: -3.61
SG: P2_1/c, No. 14
Calculated volume in Å³ per atom: 12.7

```
&SYSTEM
  ibrav = 0, nat = 80, ntyp = 6
/
ATOMIC_SPECIES
Na 22.99 Na.upf
Sr 87.62 Sr.upf
Al 26.98 Al.upf
P 30.97 P.upf
O 16.00 O.upf
F 19.00 F.upf
ATOMIC_POSITIONS angstrom
Na -2.4016 2.3401 8.6467
Na -4.9049 2.9745 17.6321
Na -0.0037 2.5822 6.6160
Na -2.5070 2.7323 15.6014
Na 2.8388 7.8968 2.3693
Na 0.3356 8.0469 11.3547
Na 5.2368 7.6546 0.3387
Na 2.7335 8.2890 9.3241
Sr 0.0462 0.3891 2.5704
Sr -2.4571 4.9254 11.5557
Sr -2.4094 0.4127 12.0123
Sr 0.0938 4.9019 3.0269
Sr 0.2380 5.7272 14.9438
Sr 2.7413 10.2164 5.9584
Sr 2.7889 5.7037 6.4150
Sr 0.2856 10.2400 15.4004
Al -2.1841 7.9404 13.3166
Al 0.3192 8.0032 4.3312
Al 2.6692 0.0000 0.0000
Al 0.1659 0.0000 8.9854
Al 2.6692 5.3146 0.0000
Al 0.1659 5.3146 8.9854
Al 0.0127 2.6259 13.6395
Al 2.5159 2.6887 4.6542
P -0.0588 7.9760 7.3585
P -2.5621 7.9677 16.3439
P 2.8939 2.6615 1.6269
P 0.3907 2.6531 10.6123
O -4.0945 7.9112 16.1581
O -1.5912 8.0325 7.1727
O -1.8221 7.4231 15.0773
O 0.6812 8.5205 6.0919
O -0.0680 1.8373 9.3822
O 2.4353 3.4772 0.3968
O 0.4486 6.5154 7.5424
O -2.0547 9.4283 16.5278
O 2.3866 1.2008 1.4430
O -0.1167 4.1137 10.4284
O -2.1034 7.1519 17.5740
O 0.3999 8.7918 8.5886
O -0.3493 2.1086 11.8789
O 2.1540 3.2060 2.8935
O 1.9231 2.5966 10.7980
O 4.4264 2.7179 1.8126
F -3.5263 6.7055 13.1616
F -1.0231 9.2382 4.1762
F -0.8231 6.6422 4.7391
F -3.3263 9.3014 13.7245
F 0.0499 7.5850 2.5755
F -2.4534 8.3586 11.5609
F -3.4774 0.9703 16.8699
F -0.9741 4.3442 7.8846
F 1.1019 5.6744 0.8630
F -1.4014 10.2693 9.8484
F -0.7112 0.3610 7.3963
F -3.2145 4.9535 16.3816
F -1.2461 6.2687 9.6512
F 1.2572 9.6749 0.6658
F 1.1526 1.4389 4.6783
F -1.3506 3.8757 13.6636
F -0.9898 6.6366 12.7789
F 1.5135 9.3071 3.7935
F -1.1816 1.3220 14.1772
F 1.3217 3.9925 5.1919
F 1.6825 6.7535 4.3071
F -0.8208 9.1902 13.2925
F -0.9253 0.9542 17.3049
F 1.5780 4.3604 8.3195
F 3.5464 5.6756 1.5891
F 1.0431 10.2681 10.5745
F 1.7333 0.3598 8.1223
F -0.7700 4.9547 17.1077
F 1.3060 6.2849 10.0862
F 3.8093 9.6588 1.1008
F 2.7853 2.2705 6.4099
F 0.2820 3.0441 15.3952
F 3.6582 1.3277 4.2463
F 1.1549 3.9869 13.2317
F 1.3549 1.3909 13.7945
F 3.8582 3.9236 4.8091
CELL_PARAMETERS angstrom
5.3385 0.0000 0.0000
0.0000 10.6291 0.0000
-5.0066 0.0000 17.9707
```

---

3.
A geometry-optimized TiCrCuS4 structure, computed with PBE. Values from VASP.

Summary:
ΔE_f in eV/atom: -1.11
SG: P2, No. 3
Calculated volume in Å³ per atom: 17.0
Polymorph energy (0 for the lowest one) in meV/atom: 72

```
&SYSTEM
'''

The reader should give back the whole of the material earlier on exactly.

1.
A geometry-optimized Bi4B3O12 structure, computed with PBE. Values from VASP.

Summary:
ΔE_f in eV/atom: -1.97
SG: I-43d, No. 220
Calculated volume in Å³ per atom: 12.4
Polymorph energy (0 for the lowest one) in meV/atom: 0

```
&SYSTEM
  ibrav = 0, nat = 38, ntyp = 3
/
ATOMIC_SPECIES
Bi 208.98 Bi.upf
B 10.81 B.upf
O 16.00 O.upf
ATOMIC_POSITIONS angstrom
Bi -0.7281 5.6271 4.1709
Bi 1.7214 3.1776 6.6204
Bi 0.7281 0.7281 0.7281
Bi 5.6271 4.1709 -0.7281
Bi -0.7281 4.1709 0.7281
Bi 1.7214 6.6204 -1.7214
Bi 3.1776 3.1776 3.1776
Bi 3.1776 6.6204 1.7214
B 7.3485 1.2247 0.0000
B 3.6742 0.0000 2.4495
B 2.4495 3.6742 0.0000
B 0.0000 2.4495 3.6742
B 1.2247 0.0000 7.3485
B 0.0000 7.3485 1.2247
O 5.4043 3.5906 -2.8773
O 4.4711 -1.1411 1.9442
O 6.2074 2.0216 -0.5053
O 6.8432 0.4278 1.1411
O 2.8773 0.5053 1.3084
O 3.5906 2.8773 -0.5053
O 3.5906 -2.8773 5.4043
O 2.8773 -0.5053 3.5906
O 1.9442 4.4711 -1.1411
O 1.3084 2.8773 0.5053
O 4.4711 1.1411 2.9548
O 0.5053 1.3084 2.8773
O 2.9548 4.4711 1.1411
O 2.0216 -0.5053 6.2074
O -1.1411 1.9442 4.4711
O -0.5053 3.5906 2.8773
O 5.3268 3.7579 2.9548
O 1.1411 6.8432 0.4278
O 1.1411 2.9548 4.4711
O 0.4278 1.1411 6.8432
O -0.5053 6.2074 2.0216
O 3.7579 2.9548 5.3268
O -2.8773 5.4043 3.5906
O 2.9548 5.3268 3.7579
CELL_PARAMETERS angstrom
-4.8990 4.8990 4.8990
4.8990 -4.8990 4.8990
4.8990 4.8990 -4.8990
```

---

2.
A geometry-optimized Na2Sr2Al2PO4F9 structure, computed with PBE. Values from VASP.

Summary:
ΔE_f in eV/atom: -3.61
SG: P2_1/c, No. 14
Calculated volume in Å³ per atom: 12.7

```
&SYSTEM
  ibrav = 0, nat = 80, ntyp = 6
/
ATOMIC_SPECIES
Na 22.99 Na.upf
Sr 87.62 Sr.upf
Al 26.98 Al.upf
P 30.97 P.upf
O 16.00 O.upf
F 19.00 F.upf
ATOMIC_POSITIONS angstrom
Na -2.4016 2.3401 8.6467
Na -4.9049 2.9745 17.6321
Na -0.0037 2.5822 6.6160
Na -2.5070 2.7323 15.6014
Na 2.8388 7.8968 2.3693
Na 0.3356 8.0469 11.3547
Na 5.2368 7.6546 0.3387
Na 2.7335 8.2890 9.3241
Sr 0.0462 0.3891 2.5704
Sr -2.4571 4.9254 11.5557
Sr -2.4094 0.4127 12.0123
Sr 0.0938 4.9019 3.0269
Sr 0.2380 5.7272 14.9438
Sr 2.7413 10.2164 5.9584
Sr 2.7889 5.7037 6.4150
Sr 0.2856 10.2400 15.4004
Al -2.1841 7.9404 13.3166
Al 0.3192 8.0032 4.3312
Al 2.6692 0.0000 0.0000
Al 0.1659 0.0000 8.9854
Al 2.6692 5.3146 0.0000
Al 0.1659 5.3146 8.9854
Al 0.0127 2.6259 13.6395
Al 2.5159 2.6887 4.6542
P -0.0588 7.9760 7.3585
P -2.5621 7.9677 16.3439
P 2.8939 2.6615 1.6269
P 0.3907 2.6531 10.6123
O -4.0945 7.9112 16.1581
O -1.5912 8.0325 7.1727
O -1.8221 7.4231 15.0773
O 0.6812 8.5205 6.0919
O -0.0680 1.8373 9.3822
O 2.4353 3.4772 0.3968
O 0.4486 6.5154 7.5424
O -2.0547 9.4283 16.5278
O 2.3866 1.2008 1.4430
O -0.1167 4.1137 10.4284
O -2.1034 7.1519 17.5740
O 0.3999 8.7918 8.5886
O -0.3493 2.1086 11.8789
O 2.1540 3.2060 2.8935
O 1.9231 2.5966 10.7980
O 4.4264 2.7179 1.8126
F -3.5263 6.7055 13.1616
F -1.0231 9.2382 4.1762
F -0.8231 6.6422 4.7391
F -3.3263 9.3014 13.7245
F 0.0499 7.5850 2.5755
F -2.4534 8.3586 11.5609
F -3.4774 0.9703 16.8699
F -0.9741 4.3442 7.8846
F 1.1019 5.6744 0.8630
F -1.4014 10.2693 9.8484
F -0.7112 0.3610 7.3963
F -3.2145 4.9535 16.3816
F -1.2461 6.2687 9.6512
F 1.2572 9.6749 0.6658
F 1.1526 1.4389 4.6783
F -1.3506 3.8757 13.6636
F -0.9898 6.6366 12.7789
F 1.5135 9.3071 3.7935
F -1.1816 1.3220 14.1772
F 1.3217 3.9925 5.1919
F 1.6825 6.7535 4.3071
F -0.8208 9.1902 13.2925
F -0.9253 0.9542 17.3049
F 1.5780 4.3604 8.3195
F 3.5464 5.6756 1.5891
F 1.0431 10.2681 10.5745
F 1.7333 0.3598 8.1223
F -0.7700 4.9547 17.1077
F 1.3060 6.2849 10.0862
F 3.8093 9.6588 1.1008
F 2.7853 2.2705 6.4099
F 0.2820 3.0441 15.3952
F 3.6582 1.3277 4.2463
F 1.1549 3.9869 13.2317
F 1.3549 1.3909 13.7945
F 3.8582 3.9236 4.8091
CELL_PARAMETERS angstrom
5.3385 0.0000 0.0000
0.0000 10.6291 0.0000
-5.0066 0.0000 17.9707
```

---

3.
A geometry-optimized TiCrCuS4 structure, computed with PBE. Values from VASP.

Summary:
ΔE_f in eV/atom: -1.11
SG: P2, No. 3
Calculated volume in Å³ per atom: 17.0
Polymorph energy (0 for the lowest one) in meV/atom: 72

```
&SYSTEM